5 Types of Play That Help Toddlers Grow and Learn
"In the play, a child is always above his average age, above his daily behavior; in play, it is as though he were a head taller than himself."
Lev Vygotsky was a famous soviet psychologist specializing in childhood development. We wanted to start this article with his quote to underline the significance of different types of play for children.
When it comes to toddlers, playtime is an incredibly important part of their development. It's not just fun and games – play helps toddlers learn valuable skills, build relationships, and grow emotionally.
Playtime helps toddlers build relationships, explore the world around them and develop cognitive, physical, and social skills.
As a parent or caregiver, it's essential to recognize the different types of play and understand how they benefit your little one. So let's get into it.
What are 5 Types of Play That Help Toddlers Grow and Learn?
Object Play
Let's start with the type of play where children interact with toys and objects to explore their physical properties and use them to create their own stories.
Yes, this is object play.
This type of play is essential for toddlers as it helps them understand the world around them and how objects can be manipulated. It also allows them to use their imaginations to create different types of play scenarios.
Examples of object play include:
- Stacking blocks
- Playing with cars and dolls
- Building sandcastles
- Playing with a ball.
Object play helps toddlers develop problem-solving skills, spatial awareness, and fine motor control. Additionally, this type of play can help them practice language skills such as giving orders or talking about what they are doing.
As they play with different objects, they will begin to form a better understanding of physical properties and how to manipulate things.
Symbolic or Make-believe play
_Between two parts of the article: quantum chemistry results_
- - -
58
Properties=species:S:1:pos:R:3 method="wB97M-V/def2-TZVPD" e_above_lowest_kcal_mol=6.8 total_energy_ha=-4221.4363 homo_energy_ev=-7.39 gap_ev=7.4 fmax_ev_per_a=0.479
Sn 0.85 0.16 1.04
N 2.45 -1.67 -0.10
C 1.75 -2.89 -0.19
C 2.24 -4.03 0.43
C 1.54 -5.22 0.39
C 0.33 -5.28 -0.29
C -0.16 -4.14 -0.90
C 0.52 -2.92 -0.86
C -0.10 -1.72 -1.48
C -0.68 -1.87 -2.74
C -1.45 -0.87 -3.31
C -1.69 0.29 -2.59
C -1.09 0.46 -1.34
C -0.26 -0.51 -0.77
H 3.36 -1.76 0.32
H 2.51 -1.13 -0.96
H 3.20 -3.98 0.94
H 1.93 -6.10 0.88
H -0.24 -6.20 -0.33
H -1.12 -4.17 -1.40
H -0.50 -2.79 -3.29
H -1.87 -1.00 -4.30
H -2.32 1.07 -3.00
H -1.27 1.38 -0.82
C -2.53 -3.03 2.92
C -3.38 -2.26 3.70
C -3.19 -0.89 3.74
C -2.15 -0.33 3.00
N -1.35 -1.08 2.25
C -1.53 -2.39 2.22
C -1.91 1.15 2.98
C -2.43 1.97 3.97
C -2.23 3.33 3.89
C -1.53 3.85 2.82
C -1.02 2.96 1.88
N -1.19 1.64 1.96
H -2.65 -4.10 2.86
H -4.18 -2.71 4.26
H -3.85 -0.26 4.32
H -0.84 -2.95 1.59
H -2.97 1.54 4.81
H -2.63 3.99 4.66
H -1.37 4.91 2.70
H -0.44 3.31 1.03
Br 1.71 5.18 -0.40
C 2.24 4.21 -1.94
C 2.59 4.96 -3.05
C 3.02 4.33 -4.21
C 3.11 2.95 -4.25
C 2.78 2.21 -3.13
C 2.33 2.82 -1.96
C 1.95 1.92 -0.82
O 2.60 0.86 -0.65
O 0.95 2.22 -0.12
H 2.53 6.04 -3.00
H 3.29 4.93 -5.07
H 3.44 2.45 -5.15
H 2.86 1.13 -3.13

---

63
Properties=species:S:1:pos:R:3 method="wB97M-V/def2-TZVPD" spin_multiplicity=2 e_above_lowest_kcal_mol=135.9 s_squared=0.757 total_energy_ha=-4784.3486 homo_energy_ev="-7.31 / -7.41" gap_ev="5.5 / 5.6" fmax_ev_per_a=2.663
Re 0.12 -0.81 0.29
O 0.29 -1.57 -1.83
C 1.02 -0.65 -2.43
C 0.56 0.30 -3.28
C 1.27 1.56 -3.47
C 2.44 1.84 -2.89
C 3.23 0.76 -2.23
C 2.40 -0.48 -1.85
C 2.62 -1.71 0.08
N 1.48 -2.25 0.51
C 1.28 -3.46 1.24
C 0.05 -4.04 0.57
N -0.83 -2.88 0.26
C -1.92 -3.22 -0.33
C -2.98 -2.32 -0.71
C -4.19 -2.83 -1.21
C -5.23 -1.97 -1.51
C -5.07 -0.59 -1.31
C -3.88 -0.07 -0.83
C -2.84 -0.95 -0.54
O -1.69 -0.44 -0.10
H -0.46 0.22 -3.63
H 0.77 2.34 -4.03
H 2.92 2.81 -3.01
H 4.02 0.44 -2.91
H 3.42 -1.72 0.84
H 1.08 -3.25 2.30
H 2.14 -4.12 1.17
H -0.48 -4.75 1.21
H 0.32 -4.52 -0.37
H -2.10 -4.28 -0.52
H -4.30 -3.89 -1.35
H -6.16 -2.35 -1.90
H -5.88 0.08 -1.55
H -3.74 0.99 -0.67
Br 3.17 -3.34 -2.40
C 3.28 -1.71 -1.43
C 4.67 -1.27 -1.09
C 4.93 -0.03 -0.67
C 3.89 1.08 -0.86
C 2.84 0.67 0.16
N 2.13 -0.30 -0.41
C 2.60 0.64 1.70
O 3.43 1.14 2.42
O 1.53 -0.02 1.96
H 5.42 -2.04 -1.02
H 5.89 0.23 -0.26
H 4.30 2.08 -0.73
O -3.33 5.56 4.17
C -3.15 4.21 4.22
O -3.67 3.57 5.09
C -2.29 3.61 3.15
C -1.97 4.26 1.96
C -1.20 3.64 1.00
C -0.72 2.34 1.20
S 0.23 1.61 -0.09
C -1.03 1.70 2.40
C -1.82 2.32 3.35
H -2.79 5.94 3.48
H -2.35 5.26 1.74
H -0.98 4.14 0.07
H -0.64 0.71 2.61
H -2.07 1.82 4.28

---

70
Properties=species:S:1:pos:R:3 method="wB97M-V/def2-TZVPD" e_above_lowest_kcal_mol=0.0 total_energy_ha=-4283.9776 homo_energy_ev=-8.62 gap_ev=8.5 fmax_ev_per_a=1.460
Zr -0.19 0.66 1.54
N -1.26 1.01 3.57
C -1.05 2.44 3.90
C 0.38 2.83 3.56
O 0.80 3.92 3.89
N 1.03 1.83 2.91
C 2.40 2.11 2.52
C 2.73 1.30 1.28
O 3.73 1.41 0.63
- - -
One of the most common types of play for toddlers is symbolic or make-believe play.
Make-believe play is a great method to explore the world safely and imaginatively. It allows toddlers to express their creativity and use objects to represent other things, such as pretending a stick is a sword or a block is a phone. A fun thing to observe is how they act out various situations they may have experienced or heard about.
Here are some of the benefits of symbolic play for toddlers:
- It teaches them how to communicate effectively by allowing them to talk through situations they are exploring.
- It also provides an outlet for expressing emotions in a safe and socially acceptable manner.
- It helps them develop problem-solving skills, as they figure out how to make sense of the imaginary world they are creating.
If you want to help your toddler engage more in symbolic play, you can provide props, costumes, and age-appropriate toys. You can suggest different scenarios, come up with an adventure, and find the best pretend-play ideas for your toddler.
Sometimes what your baby needs is a little guidance and encouragement. So hop in on that pretend play for once in a while.
Physical play
Of course, we wouldn't leave physical play out of this list. It's an essential part of learning for toddlers. Physical play helps them develop the skills to interact with their environment and use their bodies.
Physical play includes running, jumping, climbing, crawling, throwing, and kicking. These activities can help toddlers strengthen their muscles, improve coordination and balance, and build confidence.
Toddlers are already energetic and will find a way to move around on their own, but you can help them with their physical health and play by including them in age-appropriate sports classes. These can be helpful with their social and emotional development since they'll have to interact with other children in their teams.
It is important to remember that physical play should be safe and age-appropriate. Make sure to provide your toddler with toys that are not too small or sharp, that can be handled without breaking, and that is not too heavy or difficult for your child. Also, make sure that any area where your child plays is free of sharp edges, furniture, or other objects that may pose a risk for injury.
And don't forget to stay nearby to make sure your toddler is safe and secure.
Social Play
A secure and healthy adult knows how to interact with other people in social settings. It's because they got to do a lot of social play when they were children.
Social play helps children learn how to interact with their peers and adults. It also helps them understand their emotions and how to express them.
Social play can take many forms, including:
- Pretend or make-believe play
- Singing songs
- Playing games like tag, etc.
Children who actively engage in the social play learn a lot about friendship and how to be part of a group. It’s essential for toddlers to feel included and accepted by their peers. Through social play, they can learn to develop relationships, share ideas, and work together to reach a common goal (even if it's finding another toddler who's hiding behind a bush).
The benefits of social play can last well beyond the toddler years. Children who have learned social skills through play easily make friends in school and beyond. Social play also helps to strengthen problem-solving skills and encourages creativity.
For parents, social play provides a wonderful opportunity of teaching empathy, kindness, respect, and cooperation. Spending quality time playing together with your toddler is a great way to foster these values. So don’t be afraid to join in and get involved!
Solitary Play
Finally, we want to mention solitary play. It's when children play alone, independently, and without requiring assistance or involvement from anyone else.
Kids need to develop the skills of independence and self-reliance through solitary play. This type of play helps them learn to become comfortable in their own skin and develop the ability to entertain themselves. It also encourages the development of problem-solving skills, imagination, and creativity.
Just leave your child with crayons and water-based paint for a few minutes; you'll come back to a masterpiece on the wall or, hopefully, on paper.
Solitary play can look like this:
- Playing alone with dolls or action figures
- Building a small puzzle
- Flipping through a book
- Coloring and doodling
- Playing with wooden blocks or a train set
- A tea party with their toys
- Playing a mobile game
Solitary play allows toddlers to explore their creativity and sense of self. Just don't forget to create a safe and comfortable environment for your child without distractions.
As a parent, it's important to ensure your child is doing well at school, meeting all the milestones, knows how to multiply 3 by 4, and can sing the alphabet without pausing, right?
But it's equally essential for them to get enough playtime.
As much as we want literate children, we shouldn't forget the importance of creativity, critical thinking, and the ability to learn from failure—all skills best learned through play.